_Entries_
'''
VASP calculation (GGA+U) on an optimized crystal structure of LiNiMoO2.

a = 3.861 Å, b = 3.861 Å, c = 4.826 Å
α = 90.00°, β = 90.00°, γ = 90.00°
Fractional coordinates of all 5 atoms:
Li 0.000 0.000 0.000
Ni 0.500 0.500 0.500
Mo 0.500 0.500 0.000
O 0.000 0.500 0.500
O 0.500 0.000 0.500

Properties
Its volume is 14.4 Å³ per atom. Its symmetry is P4/mmm, No. 123. The calculated total energy comes out at -3.873 eV per atom.

***

VASP calculation (GGA+U) on an optimized crystal structure of Li2NiMoO4.

a = 5.303 Å, b = 5.303 Å, c = 5.303 Å
α = 133.27°, β = 133.27°, γ = 68.24°
Fractional coordinates of all 8 atoms:
Li 0.000 0.000 0.000
Li 0.750 0.250 0.500
Ni 0.500 0.500 0.000
Mo 0.250 0.750 0.500
O 0.019 0.519 0.500
O 0.258 0.258 0.000
O 0.481 0.981 0.500
O 0.742 0.742 0.000

Properties
Its volume is 9.7 Å³ per atom. Its symmetry is I-4m2, No. 119. The calculated total energy comes out at -5.826 eV per atom.

***

VASP calculation (GGA+U) on an optimized crystal structure of Li2Ni2Mo3O12.

a = 5.140 Å, b = 10.555 Å, c = 17.797 Å
α = 90.00°, β = 90.00°, γ = 90.00°
Fractional coordinates of all 76 atoms:
Li 0.111 0.250 0.248
Li 0.247 0.750 0.198
Li 0.253 0.250 0.698
Li 0.389 0.750 0.748
Li 0.611 0.250 0.252
Li 0.747 0.750 0.302
Li 0.753 0.250 0.802
Li 0.889 0.750 0.752
Ni 0.248 0.072 0.528
Ni 0.248 0.428 0.528
Ni 0.252 0.572 0.028
Ni 0.252 0.928 0.028
Ni 0.748 0.072 0.972
Ni 0.748 0.428 0.972
Ni 0.752 0.572 0.472
Ni 0.752 0.928 0.472
Mo 0.214 0.750 0.555
Mo 0.219 0.026 0.844
Mo 0.219 0.474 0.844
Mo 0.281 0.526 0.344
Mo 0.281 0.974 0.344
Mo 0.286 0.250 0.055
Mo 0.714 0.750 0.945
Mo 0.719 0.026 0.656
Mo 0.719 0.474 0.656
Mo 0.781 0.526 0.156
Mo 0.781 0.974 0.156
Mo 0.786 0.250 0.445
O 0.067 0.613 0.125
O 0.067 0.887 0.125
O 0.071 0.250 0.508
O 0.078 0.013 0.427
O 0.078 0.487 0.427
O 0.082 0.113 0.035
O 0.082 0.387 0.035
O 0.082 0.623 0.286
O 0.082 0.877 0.286
O 0.135 0.750 0.651
O 0.141 0.616 0.796
O 0.141 0.884 0.796
O 0.359 0.116 0.296
O 0.359 0.384 0.296
O 0.365 0.250 0.151
O 0.418 0.123 0.786
O 0.418 0.377 0.786
O 0.418 0.613 0.535
O 0.418 0.887 0.535
O 0.422 0.513 0.927
O 0.422 0.987 0.927
O 0.429 0.750 0.008
O 0.433 0.113 0.625
O 0.433 0.387 0.625
O 0.567 0.613 0.375
O 0.567 0.887 0.375
O 0.571 0.250 0.992
O 0.578 0.013 0.073
O 0.578 0.487 0.073
O 0.582 0.113 0.465
O 0.582 0.387 0.465
O 0.582 0.623 0.214
O 0.582 0.877 0.214
O 0.635 0.750 0.849
O 0.641 0.616 0.704
O 0.641 0.884 0.704
O 0.859 0.116 0.204
O 0.859 0.384 0.204
O 0.865 0.250 0.349
O 0.918 0.123 0.714
O 0.918 0.377 0.714
O 0.918 0.613 0.965
O 0.918 0.887 0.965
O 0.922 0.513 0.573
O 0.922 0.987 0.573
O 0.929 0.750 0.492
O 0.933 0.113 0.875
O 0.933 0.387 0.875

Properties
Its volume is 12.7 Å³ per atom. Its symmetry is Pnma, No. 62. The calculated total energy comes out at -6.354 eV per atom.

***

VASP calculation (GGA+U) on an optimized crystal structure of LiNiMoO4.

a = 5.332 Å, b = 5.332 Å, c = 6.521 Å
α = 90.00°, β = 90.00°, γ = 108.16°
Fractional coordinates of all 14 atoms:
Li 0.171 0.829 0.750
Li 0.829 0.171 0.250
Ni 0.500 0.500 0.000
Ni 0.500 0.500 0.500
Mo 0.149 0.851 0.250
Mo 0.851 0.149 0.750
O 0.207 0.240 0.750
O 0.240 0.207 0.250
O 0.265 0.735 0.018
O 0.265 0.735 0.482
O 0.735 0.265 0.518
O 0.735 0.265 0.982
O 0.760 0.793 0.750
O 0.793 0.760 0.250

Properties
Its volume is 12.6 Å³ per atom. Its symmetry is Cmcm, No. 63. The calculated total energy comes out at -5.878 eV per atom.

* * * * *

1.
# Dy3Si2Ni6

Crystalline Dy3Si2Ni6 at its relaxed geometry (GGA-PBEsol, Alexandria via LeMat-Bulk).

Calculated values
The calculation puts the total energy at -6.465 eV per atom. The calculation puts the density of states at the Fermi level at 4.907 states/eV/f.u. The formation energy from raw total energies comes out at -0.703 eV/atom.

Unit cell a=7.481 b=7.481 c=7.481 alpha=109.47 beta=109.47 gamma=109.47
Atoms (fractional coordinates):
Dy (0.000, 0.286, 0.286)
Dy (0.000, 0.714, 0.714)
Dy (0.286, 0.000, 0.286)
Dy (0.286, 0.286, 0.000)
Dy (0.714, 0.000, 0.714)
'''
_Work order_
Write out all of the listing earlier on exactly.
_Reply_
VASP calculation (GGA+U) on an optimized crystal structure of LiNiMoO2.

a = 3.861 Å, b = 3.861 Å, c = 4.826 Å
α = 90.00°, β = 90.00°, γ = 90.00°
Fractional coordinates of all 5 atoms:
Li 0.000 0.000 0.000
Ni 0.500 0.500 0.500
Mo 0.500 0.500 0.000
O 0.000 0.500 0.500
O 0.500 0.000 0.500

Properties
Its volume is 14.4 Å³ per atom. Its symmetry is P4/mmm, No. 123. The calculated total energy comes out at -3.873 eV per atom.

***

VASP calculation (GGA+U) on an optimized crystal structure of Li2NiMoO4.

a = 5.303 Å, b = 5.303 Å, c = 5.303 Å
α = 133.27°, β = 133.27°, γ = 68.24°
Fractional coordinates of all 8 atoms:
Li 0.000 0.000 0.000
Li 0.750 0.250 0.500
Ni 0.500 0.500 0.000
Mo 0.250 0.750 0.500
O 0.019 0.519 0.500
O 0.258 0.258 0.000
O 0.481 0.981 0.500
O 0.742 0.742 0.000

Properties
Its volume is 9.7 Å³ per atom. Its symmetry is I-4m2, No. 119. The calculated total energy comes out at -5.826 eV per atom.

***

VASP calculation (GGA+U) on an optimized crystal structure of Li2Ni2Mo3O12.

a = 5.140 Å, b = 10.555 Å, c = 17.797 Å
α = 90.00°, β = 90.00°, γ = 90.00°
Fractional coordinates of all 76 atoms:
Li 0.111 0.250 0.248
Li 0.247 0.750 0.198
Li 0.253 0.250 0.698
Li 0.389 0.750 0.748
Li 0.611 0.250 0.252
Li 0.747 0.750 0.302
Li 0.753 0.250 0.802
Li 0.889 0.750 0.752
Ni 0.248 0.072 0.528
Ni 0.248 0.428 0.528
Ni 0.252 0.572 0.028
Ni 0.252 0.928 0.028
Ni 0.748 0.072 0.972
Ni 0.748 0.428 0.972
Ni 0.752 0.572 0.472
Ni 0.752 0.928 0.472
Mo 0.214 0.750 0.555
Mo 0.219 0.026 0.844
Mo 0.219 0.474 0.844
Mo 0.281 0.526 0.344
Mo 0.281 0.974 0.344
Mo 0.286 0.250 0.055
Mo 0.714 0.750 0.945
Mo 0.719 0.026 0.656
Mo 0.719 0.474 0.656
Mo 0.781 0.526 0.156
Mo 0.781 0.974 0.156
Mo 0.786 0.250 0.445
O 0.067 0.613 0.125
O 0.067 0.887 0.125
O 0.071 0.250 0.508
O 0.078 0.013 0.427
O 0.078 0.487 0.427
O 0.082 0.113 0.035
O 0.082 0.387 0.035
O 0.082 0.623 0.286
O 0.082 0.877 0.286
O 0.135 0.750 0.651
O 0.141 0.616 0.796
O 0.141 0.884 0.796
O 0.359 0.116 0.296
O 0.359 0.384 0.296
O 0.365 0.250 0.151
O 0.418 0.123 0.786
O 0.418 0.377 0.786
O 0.418 0.613 0.535
O 0.418 0.887 0.535
O 0.422 0.513 0.927
O 0.422 0.987 0.927
O 0.429 0.750 0.008
O 0.433 0.113 0.625
O 0.433 0.387 0.625
O 0.567 0.613 0.375
O 0.567 0.887 0.375
O 0.571 0.250 0.992
O 0.578 0.013 0.073
O 0.578 0.487 0.073
O 0.582 0.113 0.465
O 0.582 0.387 0.465
O 0.582 0.623 0.214
O 0.582 0.877 0.214
O 0.635 0.750 0.849
O 0.641 0.616 0.704
O 0.641 0.884 0.704
O 0.859 0.116 0.204
O 0.859 0.384 0.204
O 0.865 0.250 0.349
O 0.918 0.123 0.714
O 0.918 0.377 0.714
O 0.918 0.613 0.965
O 0.918 0.887 0.965
O 0.922 0.513 0.573
O 0.922 0.987 0.573
O 0.929 0.750 0.492
O 0.933 0.113 0.875
O 0.933 0.387 0.875

Properties
Its volume is 12.7 Å³ per atom. Its symmetry is Pnma, No. 62. The calculated total energy comes out at -6.354 eV per atom.

***

VASP calculation (GGA+U) on an optimized crystal structure of LiNiMoO4.

a = 5.332 Å, b = 5.332 Å, c = 6.521 Å
α = 90.00°, β = 90.00°, γ = 108.16°
Fractional coordinates of all 14 atoms:
Li 0.171 0.829 0.750
Li 0.829 0.171 0.250
Ni 0.500 0.500 0.000
Ni 0.500 0.500 0.500
Mo 0.149 0.851 0.250
Mo 0.851 0.149 0.750
O 0.207 0.240 0.750
O 0.240 0.207 0.250
O 0.265 0.735 0.018
O 0.265 0.735 0.482
O 0.735 0.265 0.518
O 0.735 0.265 0.982
O 0.760 0.793 0.750
O 0.793 0.760 0.250

Properties
Its volume is 12.6 Å³ per atom. Its symmetry is Cmcm, No. 63. The calculated total energy comes out at -5.878 eV per atom.

* * * * *

1.
# Dy3Si2Ni6

Crystalline Dy3Si2Ni6 at its relaxed geometry (GGA-PBEsol, Alexandria via LeMat-Bulk).

Calculated values
The calculation puts the total energy at -6.465 eV per atom. The calculation puts the density of states at the Fermi level at 4.907 states/eV/f.u. The formation energy from raw total energies comes out at -0.703 eV/atom.

Unit cell a=7.481 b=7.481 c=7.481 alpha=109.47 beta=109.47 gamma=109.47
Atoms (fractional coordinates):
Dy (0.000, 0.286, 0.286)
Dy (0.000, 0.714, 0.714)
Dy (0.286, 0.000, 0.286)
Dy (0.286, 0.286, 0.000)
Dy (0.714, 0.000, 0.714)